Keynote speakers
Paweł Gawrychowski (University of Wrocław, Poland)
## Unrelated to this page: records of crystals
- - -
# Mn3O2F4, optimized geometry, DFT PBE with a Hubbard U
data_Mn3O2F4
_chemical_formula_sum 'Mn6 O4 F8'
_cell_length_a 4.7960
_cell_length_b 5.7812
_cell_length_c 7.9711
_cell_angle_alpha 86.57
_cell_angle_beta 89.70
_cell_angle_gamma 88.74
_space_group_name_H-M_alt 'P -1'
_space_group_IT_number 2
_space_group_name_Hall '-P 1'
loop_
_atom_site_label
_atom_site_type_symbol
_atom_site_fract_x
_atom_site_fract_y
_atom_site_fract_z
Mn1 Mn 0.0000 0.0000 0.0000
Mn2 Mn 0.0048 0.3338 0.6500
Mn3 Mn 0.4585 0.1797 0.3238
Mn4 Mn 0.5000 0.5000 0.0000
O1 O 0.1855 0.3750 0.4297
O2 O 0.3132 0.2245 0.0966
F1 F 0.2027 0.7127 0.1266
F2 F 0.2061 0.0351 0.7512
F3 F 0.2913 0.5259 0.7846
F4 F 0.3208 0.8620 0.4510
# Energy: -6.605 eV/atom
# Energy above the lowest structure with this stoichiometry: 19 meV/atom
# Calculated volume: 220.6 Å³ per cell
- - -

How to exploit periodicity
Periodicity is a fundamental combinatorial property of strings. We say that p is a period of a string s[1..n] if s[i]=s[i+p] for every i such that both s[i] and s[i+p] are defined. While this notion seems interesting on its own, it can be often used as a tool for designing efficient algorithms. At a high level, many of such algorithms operate differently depending on whether a given string does or does not have a small period, where small usually means smaller than half of its length (or, say, quarter). In other words, we design an algorithm that is efficient if the given string is repetitive, and another algorithm that is efficient if the given string is non-repetitive, in every case carefully exploiting either the periodicity or the fact that input looks “random”, and then run the appropriate algorithm. Of course, in some cases, one needs to proceed in a more complex manner, and instead of classifying the whole string look at its substrings and process each of them differently depending on its structure. I will survey some of such results, including the recent generalization of periodicity that can be applied in approximate pattern matching.
Antonio Restivo (University of Palermo, Italy)

~~~
# Ba3Tl2In2Hg4

A relaxed structure of Ba3Tl2In2Hg4 (GGA-PBE, Alexandria via LeMat-Bulk).

DOS(E_F) in states/eV/f.u.: 2.166
Energy relative to the elements in eV per atom: -0.3819

Lattice parameters (Å, degrees): 5.3444 5.3444 14.9197 90.00 90.00 120.00
Space group P-3m1 (No. 164)
Inequivalent atoms, fractional coordinates:
Ba  0.0000  0.0000  0.0000 (multiplicity 1)
Ba  0.0000  0.0000  0.2789 (multiplicity 2)
Tl  0.3333  0.6667  0.5631 (multiplicity 2)
In  0.3333  0.6667  0.1511 (multiplicity 2)
Hg  0.3333  0.6667  0.3623 (multiplicity 2)
Hg  0.3333  0.6667  0.8630 (multiplicity 2)

* * * * *

Entry 1:
VASP calculation (PBE) on a geometry-optimized Al2CrRu structure.

Output
E_tot, eV for the cell shown: -27.21

```
data_Al2CrRu
_cell_length_a 3.051
_cell_length_b 4.112
_cell_length_c 4.453
_cell_angle_alpha 90.00
_cell_angle_beta 90.00
_cell_angle_gamma 90.00
_space_group_name_H-M_alt 'P m m m'
_space_group_IT_number 47
_space_group_name_Hall '-P 2 2'
loop_
_atom_site_label
_atom_site_type_symbol
_atom_site_fract_x
_atom_site_fract_y
_atom_site_fract_z
Al1 Al 0.000 0.000 0.000
Al2 Al 0.500 0.000 0.500
Cr1 Cr 0.000 0.500 0.500
Ru1 Ru 0.500 0.500 0.000
```

=====

Entry 2:
VASP calculation (PBE) on a geometry-optimized Ac2FeC structure.

Output
E_tot, eV for the cell shown: -51.69

```
data_Ac2FeC
_cell_length_a 15.429
_cell_length_b 3.894
_cell_length_c 3.748
_cell_angle_alpha 90.00
_cell_angle_beta 104.00
_cell_angle_gamma 90.00
_space_group_name_H-M_alt 'C 1 2/m 1'
_space_group_IT_number 12
_space_group_name_Hall '-C 2y'
loop_
_atom_site_label
_atom_site_type_symbol
_atom_site_fract_x
_atom_site_fract_y
_atom_site_fract_z
Ac1 Ac 0.123 0.000 0.123
Fe1 Fe 0.000 0.500 0.500
C1 C 0.000 0.500 0.000
```

=====

Entry 3:
VASP calculation (PBE) on a geometry-optimized BC2 structure.

Output
E_tot, eV for the cell shown: -96.93

```
data_BC2
_cell_length_a 3.663
_cell_length_b 4.450
_cell_length_c 5.588
_cell_angle_alpha 103.00
_cell_angle_beta 92.14
_cell_angle_gamma 113.31
_space_group_name_H-M_alt 'P -1'
_space_group_IT_number 2
_space_group_name_Hall '-P 1'
loop_
_atom_site_label
_atom_site_type_symbol
_atom_site_fract_x
_atom_site_fract_y
~~~
Some variations on Lyndon words
## Someone pasted data records at this point
/*
Entry 1:
Entry from Alexandria: a relaxed BaLa2YPd crystal (PBE-GGA).

Lattice parameters (Å, degrees): 5.816 5.816 5.786 90.00 90.00 90.00
Space group P4/mmm (No. 123)
Unique sites:
Ba 0.000 0.000 0.000 (multiplicity 1)
La 0.000 0.500 0.500 (multiplicity 2)
Y 0.500 0.500 0.000 (multiplicity 1)
Pd 0.500 0.500 0.500 (multiplicity 1)

Values from the calculation:
energy	-4.86	eV/atom
energy above the most stable polymorph in this dataset	0.000	kcal/mol of atoms
total moment	0.00	μB per atom
formation energy	-0.9	eV per formula unit
theoretical density	5.2	g cm⁻³


Entry 2:
Entry from Alexandria: a relaxed NaSrTiRh2 crystal (PBE-GGA).

Lattice parameters (Å, degrees): 4.663 4.663 5.676 90.00 90.00 90.00
Space group P4/mmm (No. 123)
Unique sites:
Na 0.000 0.000 0.000 (multiplicity 1)
Sr 0.500 0.500 0.000 (multiplicity 1)
Ti 0.500 0.500 0.500 (multiplicity 1)
Rh 0.000 0.500 0.500 (multiplicity 2)

Values from the calculation:
energy	-4.72	eV/atom
total moment	0.00	μB per atom
formation energy	2.0	eV per formula unit
theoretical density	4.9	g cm⁻³


Entry 3:
Entry from Alexandria: a relaxed Ca2CoTe crystal (PBE-GGA).

Lattice parameters (Å, degrees): 3.636 3.636 8.270 90.00 90.00 90.00
Space group P4mm (No. 99)
Unique sites:
Ca 0.000 0.000 0.000 (multiplicity 1)
Ca 0.500 0.500 0.381 (multiplicity 1)
Co 0.000 0.000 0.630 (multiplicity 1)
Te 0.500 0.500 0.751 (multiplicity 1)

Values from the calculation:
energy	-3.66	eV/atom
energy relative to the elements, uncorrected	-0.404	eV/f.u.
total moment	0.42	μB per atom
theoretical density	4.0	g cm⁻³


Entry 4:
Entry from Alexandria: a relaxed TmCdCuRh crystal (PBE-GGA).

Lattice parameters (Å, degrees): 6.620 6.620 6.620 90.00 90.00 90.00
Space group F-43m (No. 216)
Unique sites:
Tm 0.000 0.000 0.000 (multiplicity 4)
Cd 0.000 0.000 0.500 (multiplicity 4)
Cu 0.250 0.250 0.750 (multiplicity 4)
Rh 0.250 0.250 0.250 (multiplicity 4)

Values from the calculation:
energy	-4.60	eV/atom
total moment	0.00	μB per atom
formation energy	-1.6	eV per formula unit
theoretical density	10.3	g cm⁻³


- Among the records above, which one has the lowest theoretical density?
  Ca2CoTe


- total moment of number 2 (NaSrTiRh2)?
  0.00 μB per atom


- The lowest energy belongs to which entry?
  BaLa2YPd


! Mg2ZnInF | the Alexandria database | PBE-GGA | relaxed; values from VASP
&SYSTEM
  ibrav = 0, nat = 5, ntyp = 4
/
ATOMIC_SPECIES
Mg 24.30 Mg.upf
Zn 65.41 Zn.upf
In 114.82 In.upf
F 19.00 F.upf
ATOMIC_POSITIONS angstrom
Mg 0.000 2.777 0.000
Mg 2.777 0.000 0.000
Zn 0.000 0.000 2.286
In 2.777 2.777 0.000
F 2.777 2.777 2.286
CELL_PARAMETERS angstrom
5.554 0.000 0.000
0.000 5.554 0.000
0.000 0.000 4.572
! Space group: P4/mmm
! Raw total energy, eV/atom: -2.06
! Uncorrected formation energy, eV/atom: -0.241


Density functional theory data (PBE-GGA) for a geometry-optimized ScCCl3 structure.

Output
*/
## So much for the data records
In this paper we compare two finite words u and v by the lexicographical order of the infinite words u^omega and v^omega. Informally, we say that we compare u and v by the infinite order. We show several properties of Lyndon words expressed using this infinite order. The innovative aspect of this approach is that it allows to take into account also non trivial conditions on the prefixes of a word, instead that only on the suffixes. In particular, we derive a result of Ufnarovskij [V. Ufnarovskij, Combinatorial and asymptotic methods in algebra, 1995] that characterizes a Lyndon word as a word which is greater, with respect to the infinite order, than all its prefixes. Motivated by this result, we introduce the prefix standard permutation of a Lyndon word and the corresponding (left) Cartesian tree. We prove that the left Cartesian tree is equal to the left Lyndon tree, defined by the left standard factorization of Viennot [G. Viennot, Algèbres de Lie libres et monoïdes libres, 1978]. This result is dual with respect to a theorem of Hohlweg and Reutenauer [C. Hohlweg and C. Reutenauer, Lyndon words, permutations and trees, 2003].
Michal Ziv-Ukelson (Ben Gurion University of the Negev, Israel)

Stringology combats microbiological threats
A major concern worldwide is the acquisition of antibiotic resistance by pathogenic bacteria. Genomic elements carrying resistance and virulence function can be acquired through horizontal gene transfer, yielding a broad spread of evolutionary successful elements, both within and in between species, with devastating effect. Recent advances in pyrosequencing techniques, combined with global efforts to study infectious diseases, yield huge and rapidly-growing databases of microbial genomes. This big new data statistically empowers genomic-context based approaches to functional analysis: the idea is that groups of genes that are clustered locally together across many genomes usually express protein products that interact in the same biological pathway (e.g. operons). Identifying and interpreting microbial gene context in huge data requires efficient string-based data mining algorithms. Additionally, new computational challenges are raised by the need to study the grammar\semantics and evolutionary spreading patterns of microbial gene context. We will review previous related works on the subject and discuss some new problem variants inspired by this application.